## File
- - -
[1]
The following is a DFT calculation (GGA-PBE) of a relaxed CrSbRu2 crystal.

Total magnetic moment in μB/f.u.: 2.27
Mass density in Mg/m³: 10.221
Energy relative to the elements, uncorrected in kJ/mol of atoms: 10.66
DOS at the Fermi energy in states/eV/atom: 0.74

Cell lengths 3.8733, 3.8733, 8.1414 Å; angles 90.00, 90.00, 90.00 degrees
With the nearest neighbours (Å) after each atom.
Space group I-4m2 (No. 119)
One atom of each set of equivalent atoms:
Cr  0.0000  0.0000  0.0000 [2 per cell]  8 Ru 2.74-2.81, 4 Sb 2.81
Sb  0.0000  0.5000  0.2500 [2 per cell]  8 Ru 2.74-2.81, 4 Cr 2.81
Ru  0.0000  0.0000  0.5000 [2 per cell]  4 Cr 2.74, 4 Sb 2.81, 4 Ru 2.81
Ru  0.0000  0.5000  0.7500 [2 per cell]  4 Sb 2.74, 4 Cr 2.81, 4 Ru 2.81

***

[2]
The following is a DFT calculation (GGA-PBE) of a relaxed CrSbRu2 crystal.

Total magnetic moment in μB/f.u.: 2.92
Mass density in Mg/m³: 10.167
Energy relative to the elements, uncorrected in kJ/mol of atoms: 5.11
DOS at the Fermi energy in states/eV/atom: 0.84

Cell lengths 4.3553, 4.3553, 3.2366 Å; angles 90.00, 90.00, 90.00 degrees
With the nearest neighbours (Å) after each atom.
Space group P4/mmm (No. 123)
One atom of each set of equivalent atoms:
Cr  0.0000  0.0000  0.0000 [1 per cell]  8 Ru 2.71
Sb  0.5000  0.5000  0.0000 [1 per cell]  8 Ru 2.71
Ru  0.0000  0.5000  0.5000 [2 per cell]  4 Sb 2.71, 4 Cr 2.71

***

[3]
The following is a DFT calculation (GGA-PBE) of a relaxed CrSbRu2 crystal.

Total magnetic moment in μB/f.u.: 1.05
Mass density in Mg/m³: 9.910
Energy relative to the elements, uncorrected in kJ/mol of atoms: 35.83
DOS at the Fermi energy in states/eV/atom: 1.32

Cell lengths 2.9691, 2.9691, 24.7513 Å; angles 90.00, 90.00, 120.00 degrees
With the nearest neighbours (Å) after each atom.
Space group R-3m (No. 166, hexagonal axes)
One atom of each set of equivalent atoms:
Cr  0.0000  0.0000  0.0000 [3 per cell]  6 Ru 2.57
Sb  0.0000  0.0000  0.5000 [3 per cell]  6 Ru 2.79, 6 Sb 2.97
Ru  0.0000  0.0000  0.2558 [6 per cell]  3 Cr 2.57, 3 Sb 2.79

***

[4]
The following is a DFT calculation (GGA-PBE) of a relaxed Cr2SbRu crystal.

Total magnetic moment in μB/f.u.: 4.44
Mass density in Mg/m³: 8.850
Energy relative to the elements, uncorrected in kJ/mol of atoms: 30.76
DOS at the Fermi energy in states/eV/atom: 1.17

Cell lengths 2.9711, 3.7536, 5.4986 Å; angles 90.00, 90.00, 90.00 degrees
With the nearest neighbours (Å) after each atom.
Space group Pmmm (No. 47)
One atom of each set of equivalent atoms:
Cr  0.0000  0.0000  0.2309 [2 per cell]  1 Cr 2.54, 4 Ru 2.71, 4 Sb 2.81
Sb  0.5000  0.5000  0.5000 [1 per cell]  2 Ru 2.75, 8 Cr 2.81, 2 Sb 2.97
Ru  0.5000  0.5000  0.0000 [1 per cell]  8 Cr 2.71, 2 Sb 2.75, 2 Ru 2.97

***

[5]
The following is a DFT calculation (GGA-PBE) of a relaxed CrSbRu2 crystal.

Total magnetic moment in μB/f.u.: 2.94
Mass density in Mg/m³: 10.092
Energy relative to the elements, uncorrected in kJ/mol of atoms: 16.14
DOS at the Fermi energy in states/eV/atom: 1.23

Cell lengths 3.1822, 3.1822, 6.1082 Å; angles 90.00, 90.00, 90.00 degrees
With the nearest neighbours (Å) after each atom.
Space group P4/mmm (No. 123)
One atom of each set of equivalent atoms:
Cr  0.0000  0.0000  0.0000 [1 per cell]  8 Ru 2.68
Sb  0.0000  0.0000  0.5000 [1 per cell]  8 Ru 2.76, 2 Cr 3.05
Ru  0.5000  0.5000  0.2370 [2 per cell]  4 Cr 2.68, 4 Sb 2.76, 1 Ru 2.89

***

[6]
The following is a DFT calculation (GGA-PBE) of a relaxed Cr2SbRu crystal.

Total magnetic moment in μB/f.u.: 4.45
Mass density in Mg/m³: 8.000
Energy relative to the elements, uncorrected in kJ/mol of atoms: 61.47
DOS at the Fermi energy in states/eV/atom: 1.39

Cell lengths 7.0322, 7.0322, 5.4871 Å; angles 90.00, 90.00, 90.00 degrees
With the nearest neighbours (Å) after each atom.
Space group I-42d (No. 122)
One atom of each set of equivalent atoms:
Cr  0.2150  0.2500  0.1250 [8 per cell]  2 Ru 2.42
Sb  0.0000  0.0000  0.5000 [4 per cell]  2 Ru 2.74, 4 Cr 2.75
- - -

## Assignment
Type out the lines earlier on up to the one that holds "Mg/m³: 8.000", that line included.

## Outcome
[1]
The following is a DFT calculation (GGA-PBE) of a relaxed CrSbRu2 crystal.

Total magnetic moment in μB/f.u.: 2.27
Mass density in Mg/m³: 10.221
Energy relative to the elements, uncorrected in kJ/mol of atoms: 10.66
DOS at the Fermi energy in states/eV/atom: 0.74

Cell lengths 3.8733, 3.8733, 8.1414 Å; angles 90.00, 90.00, 90.00 degrees
With the nearest neighbours (Å) after each atom.
Space group I-4m2 (No. 119)
One atom of each set of equivalent atoms:
Cr  0.0000  0.0000  0.0000 [2 per cell]  8 Ru 2.74-2.81, 4 Sb 2.81
Sb  0.0000  0.5000  0.2500 [2 per cell]  8 Ru 2.74-2.81, 4 Cr 2.81
Ru  0.0000  0.0000  0.5000 [2 per cell]  4 Cr 2.74, 4 Sb 2.81, 4 Ru 2.81
Ru  0.0000  0.5000  0.7500 [2 per cell]  4 Sb 2.74, 4 Cr 2.81, 4 Ru 2.81

***

[2]
The following is a DFT calculation (GGA-PBE) of a relaxed CrSbRu2 crystal.

Total magnetic moment in μB/f.u.: 2.92
Mass density in Mg/m³: 10.167
Energy relative to the elements, uncorrected in kJ/mol of atoms: 5.11
DOS at the Fermi energy in states/eV/atom: 0.84

Cell lengths 4.3553, 4.3553, 3.2366 Å; angles 90.00, 90.00, 90.00 degrees
With the nearest neighbours (Å) after each atom.
Space group P4/mmm (No. 123)
One atom of each set of equivalent atoms:
Cr  0.0000  0.0000  0.0000 [1 per cell]  8 Ru 2.71
Sb  0.5000  0.5000  0.0000 [1 per cell]  8 Ru 2.71
Ru  0.0000  0.5000  0.5000 [2 per cell]  4 Sb 2.71, 4 Cr 2.71

***

[3]
The following is a DFT calculation (GGA-PBE) of a relaxed CrSbRu2 crystal.

Total magnetic moment in μB/f.u.: 1.05
Mass density in Mg/m³: 9.910
Energy relative to the elements, uncorrected in kJ/mol of atoms: 35.83
DOS at the Fermi energy in states/eV/atom: 1.32

Cell lengths 2.9691, 2.9691, 24.7513 Å; angles 90.00, 90.00, 120.00 degrees
With the nearest neighbours (Å) after each atom.
Space group R-3m (No. 166, hexagonal axes)
One atom of each set of equivalent atoms:
Cr  0.0000  0.0000  0.0000 [3 per cell]  6 Ru 2.57
Sb  0.0000  0.0000  0.5000 [3 per cell]  6 Ru 2.79, 6 Sb 2.97
Ru  0.0000  0.0000  0.2558 [6 per cell]  3 Cr 2.57, 3 Sb 2.79

***

[4]
The following is a DFT calculation (GGA-PBE) of a relaxed Cr2SbRu crystal.

Total magnetic moment in μB/f.u.: 4.44
Mass density in Mg/m³: 8.850
Energy relative to the elements, uncorrected in kJ/mol of atoms: 30.76
DOS at the Fermi energy in states/eV/atom: 1.17

Cell lengths 2.9711, 3.7536, 5.4986 Å; angles 90.00, 90.00, 90.00 degrees
With the nearest neighbours (Å) after each atom.
Space group Pmmm (No. 47)
One atom of each set of equivalent atoms:
Cr  0.0000  0.0000  0.2309 [2 per cell]  1 Cr 2.54, 4 Ru 2.71, 4 Sb 2.81
Sb  0.5000  0.5000  0.5000 [1 per cell]  2 Ru 2.75, 8 Cr 2.81, 2 Sb 2.97
Ru  0.5000  0.5000  0.0000 [1 per cell]  8 Cr 2.71, 2 Sb 2.75, 2 Ru 2.97

***

[5]
The following is a DFT calculation (GGA-PBE) of a relaxed CrSbRu2 crystal.

Total magnetic moment in μB/f.u.: 2.94
Mass density in Mg/m³: 10.092
Energy relative to the elements, uncorrected in kJ/mol of atoms: 16.14
DOS at the Fermi energy in states/eV/atom: 1.23

Cell lengths 3.1822, 3.1822, 6.1082 Å; angles 90.00, 90.00, 90.00 degrees
With the nearest neighbours (Å) after each atom.
Space group P4/mmm (No. 123)
One atom of each set of equivalent atoms:
Cr  0.0000  0.0000  0.0000 [1 per cell]  8 Ru 2.68
Sb  0.0000  0.0000  0.5000 [1 per cell]  8 Ru 2.76, 2 Cr 3.05
Ru  0.5000  0.5000  0.2370 [2 per cell]  4 Cr 2.68, 4 Sb 2.76, 1 Ru 2.89

***

[6]
The following is a DFT calculation (GGA-PBE) of a relaxed Cr2SbRu crystal.

Total magnetic moment in μB/f.u.: 4.45
Mass density in Mg/m³: 8.000